Horizon State (HST) started trading on: Unfortunately we don’t have this data available.. Horizon State’s initial ICO price was: 3000 HST = 1 ETH USD. More historical and performance information on Horizon State Horizon State’s investment performance statistics: like volatiliy, positive months, max drawdown a day, max upside a day, etc; A month by month and year […]
Start price
Where to find Historical trading info and past performance on Earth Token (crypto)?
Earth Token (EARTH) started trading on: Unfortunately we don’t have this data available.. Earth Token’s initial ICO price was: 4000-5200 ETN = 0.1 BTC / 1 ETH USD. More historical and performance information on Earth Token Earth Token’s investment performance statistics: like volatiliy, positive months, max drawdown a day, max upside a day, etc; A month by […]
Where to find Historical trading info and past performance on AirToken (crypto)?
AirToken (AIR) started trading on: Unfortunately we don’t have this data available.. AirToken’s initial ICO price was: 50 AIR = 1 USD USD. More historical and performance information on AirToken AirToken’s investment performance statistics: like volatiliy, positive months, max drawdown a day, max upside a day, etc; A month by month and year by year trading history […]
Where to find Historical trading info and past performance on B3Coin (crypto)?
B3Coin (B3) started trading on: 2016-09-03. B3Coin’s initial ICO price was: n/a USD. More historical and performance information on B3Coin B3Coin’s investment performance statistics: like volatiliy, positive months, max drawdown a day, max upside a day, etc; A month by month and year by year trading history of B3Coin; A complete day by day trading history of […]
Where to find Historical trading info and past performance on Mercury (crypto)?
Mercury (MER) started trading on: 2017-03-30. Mercury’s initial ICO price was: n/a USD. More historical and performance information on Mercury Mercury’s investment performance statistics: like volatiliy, positive months, max drawdown a day, max upside a day, etc; A month by month and year by year trading history of Mercury; A complete day by day trading history of […]
Where to find Historical trading info and past performance on Genesis Vision (crypto)?
Genesis Vision (GVT) started trading on: 2017-11-15. Genesis Vision’s initial ICO price was: 1 GVT = 1 USD USD. More historical and performance information on Genesis Vision Genesis Vision’s investment performance statistics: like volatiliy, positive months, max drawdown a day, max upside a day, etc; A month by month and year by year trading history of Genesis […]
+++
# 1
This record from the OMol25 dataset describes C23H33N3O4 in the gas phase. The level of theory is the ωB97M-V functional and the def2-TZVPD basis.

```
63
Properties=species:S:1:pos:R:3:forces:R:3:nbo_charge:R:1
C -2.8997 -3.7302 -2.1183 0.1 0.2 0.2 -0.613
C -2.3212 -2.7868 -1.0788 -0.2 -0.1 0.0 -0.139
N -1.0920 -2.1837 -1.5790 -0.2 -0.2 -0.3 -0.599
C -0.1591 -1.6492 -0.7722 0.1 0.2 -0.5 0.688
O -0.2293 -1.6892 0.4444 0.1 0.0 0.3 -0.660
C 1.0187 -1.0065 -1.5122 0.0 0.0 -0.2 -0.119
N 1.5305 0.1199 -0.7672 0.1 -0.2 0.0 -0.449
C 1.1083 1.3617 -1.1157 0.1 -0.1 -0.1 0.914
O 0.3747 1.5654 -2.0604 -0.2 0.2 -0.2 -0.677
O 1.6309 2.2910 -0.3024 0.0 -0.2 0.1 -0.536
C 1.4344 3.6992 -0.5774 -0.1 0.7 -0.2 0.276
C 2.0283 4.0555 -1.9402 -0.1 -0.3 0.2 -0.645
H 1.4807 3.5482 -2.7297 0.0 0.0 -0.1 0.241
H 3.0729 3.7539 -1.9846 0.1 0.0 0.0 0.210
H 1.9640 5.1282 -2.0990 0.0 0.1 0.0 0.214
C -0.0475 4.0654 -0.5173 0.2 -0.3 -0.1 -0.645
H -0.5946 3.5412 -1.2954 -0.1 0.0 0.0 0.245
H -0.1639 5.1358 -0.6621 0.0 0.1 0.0 0.213
H -0.4628 3.7918 0.4494 -0.1 0.0 0.1 0.210
C 2.2042 4.4010 0.5427 -0.2 -0.4 -0.2 -0.614
H 2.1146 5.4779 0.4364 0.0 0.1 0.0 0.214
H 1.8063 4.1046 1.5096 -0.1 0.0 0.1 0.215
H 3.2550 4.1263 0.5037 0.1 0.0 0.0 0.214
C 2.3282 -0.0938 0.4242 0.2 0.3 0.4 -0.236
C 2.7238 -1.5253 0.6438 0.1 -0.1 0.0 0.061
C 3.1837 -1.9146 1.8952 0.0 0.1 -0.1 -0.209
C 3.5793 -3.2184 2.1272 0.0 0.0 0.1 -0.209
C 3.5092 -4.1532 1.1079 0.0 -0.1 0.0 -0.214
C 3.0423 -3.7754 -0.1370 0.0 0.0 0.0 -0.193
C 2.6567 -2.4647 -0.3794 0.1 0.0 0.0 -0.056
C 2.1369 -2.0327 -1.7183 -0.1 0.1 0.1 -0.412
H 1.7631 -2.8886 -2.2829 0.0 0.0 0.0 0.220
H 2.9379 -1.5634 -2.2977 -0.1 0.0 -0.1 0.226
H 2.9757 -4.5025 -0.9341 0.0 -0.1 -0.1 0.207
H 3.8096 -5.1750 1.2852 0.0 -0.1 0.0 0.213
H 3.9349 -3.5080 3.1047 0.0 0.0 0.1 0.213
H 3.2278 -1.1866 2.6923 0.0 0.1 0.1 0.208
H 1.7746 0.2637 1.3008 0.1 -0.1 -0.1 0.216
H 3.2353 0.5207 0.3410 -0.1 -0.1 0.1 0.216
H 0.6715 -0.6095 -2.4725 0.1 -0.1 0.2 0.252
H -1.0658 -1.9936 -2.5689 0.1 0.1 0.0 0.405
H -2.0659 -3.3192 -0.1560 0.0 0.1 -0.1 0.224
C -3.3054 -1.6369 -0.7491 0.4 -0.5 0.2 0.671
O -4.2416 -1.3489 -1.4641 -0.3 0.1 -0.3 -0.632
N -2.9727 -1.0057 0.3859 0.1 0.2 0.4 -0.632
H -2.1076 -1.2737 0.8427 0.0 -0.2 -0.2 0.426
C -3.5333 0.2651 0.7944 -0.3 0.1 -0.2 -0.049
C -2.4894 1.3772 0.6265 0.0 -0.1 0.0 -0.417
H -1.9051 1.2535 -0.2847 0.0 0.1 -0.1 0.224
H -2.9900 2.3457 0.5908 0.0 0.1 0.0 0.205
C -1.6534 1.2586 1.8970 0.0 0.2 0.0 -0.416
H -1.0495 2.1445 2.0900 0.1 0.0 0.0 0.209
H -0.9820 0.4017 1.8210 0.1 0.0 0.0 0.208
C -2.7024 1.0269 2.9869 0.1 0.0 0.1 -0.408
H -2.2921 0.4839 3.8369 0.0 0.1 0.1 0.210
H -3.0713 1.9872 3.3499 0.0 0.0 0.1 0.199
C -3.8417 0.2502 2.3026 -0.1 0.0 0.0 -0.419
H -3.8927 -0.7793 2.6553 -0.1 0.0 0.0 0.215
H -4.8055 0.7168 2.4999 0.0 0.0 0.0 0.214
H -4.4215 0.4242 0.1793 0.1 0.0 0.1 0.235
H -3.7493 -4.2597 -1.6971 -0.1 0.0 0.0 0.229
H -2.1537 -4.4533 -2.4397 0.1 -0.1 0.0 0.211
H -3.2518 -3.1593 -2.9746 -0.1 0.0 -0.1 0.227
```
Forces are in eV/Å.
+++
Where to find Historical trading info and past performance on Modum (crypto)?
Modum (MOD) started trading on: 2017-10-23. Modum’s initial ICO price was: 1 USD USD. More historical and performance information on Modum Modum’s investment performance statistics: like volatiliy, positive months, max drawdown a day, max upside a day, etc; A month by month and year by year trading history of Modum; A complete day by day trading history […]
Where to find Historical trading info and past performance on Viberate (crypto)?
Viberate (VIB) started trading on: Unfortunately we don’t have this data available.. Viberate’s initial ICO price was: 1 VIB = 0.1 USD USD. More historical and performance information on Viberate Viberate’s investment performance statistics: like volatiliy, positive months, max drawdown a day, max upside a day, etc; A month by month and year by year trading history […]
Where to find Historical trading info and past performance on Ambrosus (crypto)?
Ambrosus (AMB) started trading on: Unfortunately we don’t have this data available.. Ambrosus’s initial ICO price was: 1,000 AMB = 1 ETH USD. More historical and performance information on Ambrosus Ambrosus’s investment performance statistics: like volatiliy, positive months, max drawdown a day, max upside a day, etc; A month by month and year by year trading history […]
Where to find Historical trading info and past performance on Decentraland (crypto)?
Decentraland (MANA) started trading on: Unfortunately we don’t have this data available.. Decentraland’s initial ICO price was: 1000 MANA = 1 LAND USD. More historical and performance information on Decentraland Decentraland’s investment performance statistics: like volatiliy, positive months, max drawdown a day, max upside a day, etc; A month by month and year by year trading history […]